_Material_
┌──
{
  "formula": "C68H136As4F24N8O6",
  "method": "the ωB97M-V functional and the def2-TZVPD basis",
  "fmax_ev_per_a": 5.2,
  "homo_ev": -8.864,
  "total_energy_ev": -405482.45133,
  "lumo_energy_ev": -7.507,
  "charge": 2,
  "elements": ["C", "N", "C", "C", "C", "C", "C", "C", "C", "C", "N", "C", "C", "C", "H", "H", "H", "H", "H", "H", "H", "H", "H", "H", "H", "H", "H", "H", "C", "C", "C", "C", "N", "C", "C", "C", "C", "C", "H", "H", "H", "H", "H", "H", "H", "H", "H", "H", "H", "H", "H", "H", "H", "H", "H", "H", "H", "H", "C", "C", "C", "C", "N", "C", "C", "C", "C", "C", "H", "H", "H", "H", "H", "H", "H", "H", "H", "H", "H", "H", "H", "H", "H", "H", "H", "H", "H", "H", "C", "C", "C", "C", "N", "C", "C", "C", "C", "C", "H", "H", "H", "H", "H", "H", "H", "H", "H", "H", "H", "H", "H", "H", "H", "H", "H", "H", "H", "H", "C", "C", "C", "C", "N", "C", "C", "C", "C", "C", "H", "H", "H", "H", "H", "H", "H", "H", "H", "H", "H", "H", "H", "H", "H", "H", "H", "H", "H", "H", "C", "C", "C", "C", "N", "C", "C", "C", "C", "C", "H", "H", "H", "H", "H", "H", "H", "H", "H", "H", "H", "H", "H", "H", "H", "H", "H", "H", "H", "H", "C", "C", "C", "C", "N", "C", "C", "C", "C", "C", "H", "H", "H", "H", "H", "H", "H", "H", "H", "H", "H", "H", "H", "H", "H", "H", "H", "H", "H", "H", "As", "F", "F", "F", "F", "F", "F", "As", "F", "F", "F", "F", "F", "F", "As", "F", "F", "F", "F", "F", "F", "As", "F", "F", "F", "F", "F", "F", "O", "C", "O", "O", "H", "O", "C", "O", "O", "H"],
└──

_Assignment_
Copy everything earlier on without additions.

_Here it is_
{
  "formula": "C68H136As4F24N8O6",
  "method": "the ωB97M-V functional and the def2-TZVPD basis",
  "fmax_ev_per_a": 5.2,
  "homo_ev": -8.864,
  "total_energy_ev": -405482.45133,
  "lumo_energy_ev": -7.507,
  "charge": 2,
  "elements": ["C", "N", "C", "C", "C", "C", "C", "C", "C", "C", "N", "C", "C", "C", "H", "H", "H", "H", "H", "H", "H", "H", "H", "H", "H", "H", "H", "H", "C", "C", "C", "C", "N", "C", "C", "C", "C", "C", "H", "H", "H", "H", "H", "H", "H", "H", "H", "H", "H", "H", "H", "H", "H", "H", "H", "H", "H", "H", "C", "C", "C", "C", "N", "C", "C", "C", "C", "C", "H", "H", "H", "H", "H", "H", "H", "H", "H", "H", "H", "H", "H", "H", "H", "H", "H", "H", "H", "H", "C", "C", "C", "C", "N", "C", "C", "C", "C", "C", "H", "H", "H", "H", "H", "H", "H", "H", "H", "H", "H", "H", "H", "H", "H", "H", "H", "H", "H", "H", "C", "C", "C", "C", "N", "C", "C", "C", "C", "C", "H", "H", "H", "H", "H", "H", "H", "H", "H", "H", "H", "H", "H", "H", "H", "H", "H", "H", "H", "H", "C", "C", "C", "C", "N", "C", "C", "C", "C", "C", "H", "H", "H", "H", "H", "H", "H", "H", "H", "H", "H", "H", "H", "H", "H", "H", "H", "H", "H", "H", "C", "C", "C", "C", "N", "C", "C", "C", "C", "C", "H", "H", "H", "H", "H", "H", "H", "H", "H", "H", "H", "H", "H", "H", "H", "H", "H", "H", "H", "H", "As", "F", "F", "F", "F", "F", "F", "As", "F", "F", "F", "F", "F", "F", "As", "F", "F", "F", "F", "F", "F", "As", "F", "F", "F", "F", "F", "F", "O", "C", "O", "O", "H", "O", "C", "O", "O", "H"],